This week's friday fossil is Cheirotherium (or Isocheirotherium, whichever you want).

Here the text breaks off for data records:
- - -
*a*
{"formula": "C4H7Cl", "method": "ωB97M-V/def2-TZVPD", "elements": ["C", "C", "C", "C", "Cl", "H", "H", "H", "H", "H", "H", "H"], "positions_angstrom": [[0.31100, -1.22269, 0.68724], [-0.00915, -0.33394, -0.18339], [-1.13712, 0.76243, 0.05350], [0.92596, 0.46599, -0.91896], [2.46983, 0.04993, -1.37085], [0.45944, -0.69953, 1.67903], [-0.35888, -2.12395, 1.13374], [1.28436, -1.45990, 0.39181], [-0.91364, 1.56326, -0.85460], [-2.16361, 0.22622, 0.18754], [-1.28887, 1.60696, 0.99684], [0.42068, 1.16522, -1.80189]], "homo_ev": -8.5, "smiles": "CC(C)=CCl", "total_charge": 0}

*b*
{"formula": "C4H7Cl", "method": "ωB97M-V/def2-TZVPD", "elements": ["C", "C", "C", "C", "H", "H", "H", "H", "H", "H", "H", "Cl"], "positions_angstrom": [[-1.64015, -0.32814, 0.10636], [-0.18643, -0.59662, 0.06839], [0.91189, 0.40173, 0.08116], [1.81733, 0.88661, -0.76916], [-1.70561, 0.75224, 0.87411], [-2.37741, -0.26615, -1.06810], [-2.31061, -1.47730, 0.51406], [0.06642, -1.34784, -0.66055], [-0.46323, -1.30564, 1.01736], [2.14381, 0.76806, -1.95374], [2.61650, 1.59840, 0.00927], [1.12748, 0.91466, 1.78082]], "homo_ev": -9.7, "total_charge": 0}

*c*
{"formula": "C4H7Cl", "method": "ωB97M-V/def2-TZVPD", "elements": ["Cl", "C", "C", "C", "C", "H", "H", "H", "H", "H", "H", "H"], "positions_angstrom": [[2.33516, -0.60245, 0.05465], [1.20075, 0.91858, -0.16101], [-0.29804, 0.43346, -0.28868], [-0.80415, -0.89003, -0.64225], [-0.74165, -0.31474, 0.81037], [1.83335, 1.18856, -1.15503], [1.37197, 1.60104, 0.84784], [-0.93355, 1.41102, -0.58808], [-2.05605, -1.27172, -0.67465], [-0.05872, -1.62065, -1.02095], [-0.13510, -0.75084, 1.51381], [-1.71396, -0.10222, 1.30399]], "homo_ev": -9.9, "smiles": "ClCC1CC1", "total_charge": 0}

*d*
{"formula": "C4H7Cl", "method": "ωB97M-V/def2-TZVPD", "elements": ["C", "C", "Cl", "C", "C", "H", "H", "H", "H", "H", "H", "H"], "positions_angstrom": [[-0.91356, -1.00410, -0.46109], [0.15286, -0.24311, 0.33214], [0.52528, -0.98419, 1.91139], [1.15499, 0.53840, -0.40575], [0.03999, 1.23267, 0.40575], [-0.77779, -2.14909, -0.35825], [-1.15837, -0.45329, -1.41491], [-1.84810, -0.81267, 0.17040], [2.04427, 0.39845, 0.17006], [1.08223, 0.22276, -1.56578], [-0.80644, 1.64588, -0.06660], [0.50463, 1.60829, 1.28264]], "homo_ev": -9.8, "smiles": "CC1(Cl)CC1", "total_charge": 0}

Which structure is the least stable? The one labeled *b*.

*a*
- - -

Every year, thousands of geology students descend on the tiny Isle of Arran in the inner Hebrides. Its unique in the way you have so many different rocks all crammed next to each other on one tiny island, and so has been host to generation after generation of 1st year geology students from all over britain. Visit Arran in the Easter and you will never be out of sight of either disgruntled (if it's raining) or sunburnt (if it's hot) students, staring confusedly at the rocks on the shore.

The question is: has the effect of all these students has taken its toll? Whilst there is an absolute ban on hammering of any sort, you can't ban touching things. Whilst the famous Arthropleura is destined to erode away as it is bashed by waves day in day out, there are many other trace fossils on the island that could be smoothed away by the actions of thousands of curious fingers every year. Obviously, nobody is doing deliberate damage, and more importantly, everyone realises the importance of the fossils. (Unlike the imbecile who defaced the neolithic deer drawing in the nearby King's caves...)

A famous trace fossil can be found near Blackwaterfoot on the isle of Arran , near a waterfall at the base of a cliff, where there is a famous footprint of a cretaceous crocodile-like reptile called Iso)cheirotherium. The fossil was discovered by Peder Aspen of Edinburgh university in 1993, but for the previous few years has been a regular stop for undergraduates of many universities on their 1st year field trip.

[Molecular data, kept here for reference]
~~~
{
  "formula": "C72H192N16O20",
  "method": "ωB97M-V with the def2-TZVPD basis set",
  "charge": 0,
  "lumo_energy_ha": 0.002,
  "e_homo_ev": -8.2,
  "de_lowest_kcal_mol": 143.4,
  "species": ["C", "O", "C", "C", "N", "C", "C", "O", "C", "H", "H", "H", "H", "H", "H", "H", "H", "H", "H", "H", "H", "H", "H", "H", "C", "O", "C", "C", "N", "C", "C", "O", "C", "H", "H", "H", "H", "H", "H", "H", "H", "H", "H", "H", "H", "H", "H", "H", "C", "O", "C", "C", "N", "C", "C", "O", "C", "H", "H", "H", "H", "H", "H", "H", "H", "H", "H", "H", "H", "H", "H", "H", "C", "O", "C", "C", "N", "C", "C", "O", "C", "H", "H", "H", "H", "H", "H", "H", "H", "H", "H", "H", "H", "H", "H", "H", "C", "C", "C", "O", "C", "N", "H", "H", "H", "H", "H", "H", "H", "H", "H", "H", "H", "C", "C", "C", "O", "C", "N", "H", "H", "H", "H", "H", "H", "H", "H", "H", "H", "H", "C", "C", "C", "O", "C", "N", "H", "H", "H", "H", "H", "H", "H", "H", "H", "H", "H", "C", "C", "C", "O", "C", "N", "H", "H", "H", "H", "H", "H", "H", "H", "H", "H", "H", "C", "C", "C", "O", "C", "N", "H", "H", "H", "H", "H", "H", "H", "H", "H", "H", "H", "C", "C", "C", "O", "C", "N", "H", "H", "H", "H", "H", "H", "H", "H", "H", "H", "H", "C", "C", "C", "O", "C", "N", "H", "H", "H", "H", "H", "H", "H", "H", "H", "H", "H", "C", "C", "C", "O", "C", "N", "H", "H", "H", "H", "H", "H", "H", "H", "H", "H", "H", "C", "C", "C", "O", "C", "N", "H", "H", "H", "H", "H", "H", "H", "H", "H", "H", "H", "C", "C", "C", "O", "C", "N", "H", "H", "H", "H", "H", "H", "H", "H", "H", "H", "H", "C", "C", "C", "O", "C", "N", "H", "H", "H", "H", "H", "H", "H", "H", "H", "H", "H", "C", "C", "C", "O", "C", "N", "H", "H", "H", "H", "H", "H", "H", "H", "H", "H", "H"],
~~~

Cheirotherium was probably the size of a horse, and is named "hand-beast" because of its unusual "thumbs", which are on the outside of its hand. Whilst it has been suggested that it walked with its legs crossed (I mean, come on!) these things were actually little fifth fingers that helped spread its weight on soft sand. If you look to the right of the footprint in my photo, you'll see some small crack like patterns; these are desiccation cracks. So, the beast was walking over soft, slightly wet sand, that subsequently dried out, preserving the footprint. Scotland at the time was close to the equator and was mostly desertified at this, though this and small salt crystals show that there was some water around in patches.

About that footprint, then. The footprint is just about big enough to fit a hand, and the  thing is about at waist height. It must be one of the most touched trace fossils in the world, because of the minibus fulls of undergraduates (and increasingly, A-level students) that visit it day in, day out.

So, I thought I might start conduct that laziest and slowest experiment ever to see the effect of this "student abrasion". I plan to take a photo each year when I go back of this fossil to see how it is slowly degrading. At the moment, I have two data points: a photo from the 2009 paper and one that I took this year, which I've shown below. Not very impressive, admittedly.

Obviously not much time has passed, but already you can see some smoothing over the posterior part of the fossil, and it will be interesting to see how this changes. Of course, if you are reading this and happen to have any photos of the fossil together with a date, that would be much appreciated. If not, check this blog in 40 years time and I'll have a robust dataset!